Page 55 of Noble Scoundrel
“My ability to protect you,” he replied. “And Freddie, of course.”
“As Frederick will not be leaving the house until the threat is resolved, I don’t see what a carriage ride can tell me.”
A frown weighed down his tawny brows as he looked down at her. “You won’t be able to keep him locked up indefinitely.”
“I don’t intend to. Just until he’s safe.”
“He’d be safe with me.”
Though she believed him, she still couldn’t see any reason she’d allow Frederick to be put at unnecessary risk. Still, it was possible a valid need for him to leave the house might come up at some point. If Hale wished to test his security measures by taking her on a drive through the park, it might not be a bad idea.
She nodded. “Tomorrow, then.”
Hale took a step forward, coming up right beside her where she still stood resting against the wall. Katherine held her breath as she turned her head to look at him, but he was just opening his bedroom door. He gave her a silent look before nodding in the direction of her own bedroom down the hall. “You’d best be turning in then. Before your candle burns out.” Then he smiled and her belly fluttered. “Unless you’re thinking to join me inside?”
She actually glanced past him into the room, softly illuminated by a low-burning fire in the grate. The bed appeared impossibly large in the flickering light.
********
Version one
# BaIO5

An optimized crystal structure of BaIO5 (PBE, the Materials Project).

Output
Its space group is P-1. Its crystal system is triclinic.

Cell and atoms, written as extended XYZ:
```
14
Lattice="5.874 0.000 0.000 1.050 7.017 0.000 0.268 0.116 7.370" Properties=species:S:1:pos:R:3 pbc="T T T"
O 2.040 2.703 6.324
O 4.567 4.845 5.721
O 5.152 4.430 1.046
O 4.753 5.761 1.153
O 1.410 0.497 6.419
O 2.439 1.372 6.217
O 2.625 2.289 1.649
O 1.640 1.486 1.694
O 5.552 5.648 5.675
O 5.782 6.637 0.951
I 5.183 2.084 3.596
I 2.009 5.049 3.773
Ba 2.051 5.022 0.350
Ba 5.142 2.111 7.020
```

=====

Version two
# BaIO5

An optimized crystal structure of BaIO5 (PBE, the Materials Project).

Output
Its space group is P-1. Its crystal system is triclinic.

Cell and atoms, written as extended XYZ:
```
14
Lattice="4.844 0.000 0.000 -2.039 7.723 0.000 -0.131 -3.051 7.416" Properties=species:S:1:pos:R:3 pbc="T T T"
I 2.615 4.063 3.235
I 0.060 0.609 4.181
O 3.659 -0.293 1.244
O -0.985 4.965 6.172
O 0.023 1.348 6.039
O 3.131 -1.435 5.906
O 2.438 0.004 1.544
O -0.456 6.107 1.510
O 2.651 3.324 1.377
O 0.237 4.668 5.872
O 2.184 -0.617 6.230
O 0.490 5.290 1.186
Ba 0.246 2.313 0.732
Ba 2.429 2.359 6.684
```

=====

Version three
# BaIO5

An optimized crystal structure of BaIO5 (PBE, the Materials Project).

Output
Its space group is P-1. Its crystal system is triclinic.

Cell and atoms, written as extended XYZ:
```
14
Lattice="-5.469 0.000 0.000 -0.267 -6.978 0.000 -0.158 -1.334 7.505" Properties=species:S:1:pos:R:3 pbc="T T T"
I -4.578 -2.724 3.140
I -1.317 -5.587 4.365
O -2.427 -1.884 5.874
O -4.605 -6.822 6.215
O -3.467 -6.428 1.630
O -3.681 -5.907 6.287
O -4.755 -3.741 1.490
O -4.658 -6.886 1.504
O -2.213 -2.405 1.218
O -1.140 -4.571 6.015
O -1.237 -1.426 6.001
O -1.289 -1.490 1.290
Ba -4.550 -3.274 6.981
Ba -1.345 -5.038 0.524
```

=====

Quick ranking, most stable first: version two, version three, version one.

=====

Version one
# BaSr2I6

An optimized crystal structure of BaSr2I6 (PBE, the Materials Project).

Output
Its space group is C2/c. Its crystal system is monoclinic.

Cell and atoms, written as extended XYZ:
```
18
Lattice="3.953 13.149 0.000 -3.953 13.149 0.000 0.000 0.849 8.935" Properties=species:S:1:pos:R:3 pbc="T T T"
Sr 2.171 9.176 5.670
Sr 2.171 18.395 7.732
Sr -2.171 8.751 1.203
Sr -2.171 17.970 3.265
I -0.512 11.438 0.687
I -0.110 24.263 7.829
I -0.346 19.382 5.726
I -0.512 15.283 3.780
I 0.512 15.708 8.247
I -0.110 3.308 5.572
I 0.110 23.838 3.362
I 0.512 11.863 5.155
I 0.110 2.884 1.105
I 0.346 18.957 1.259
I -0.346 8.189 7.676
I 0.346 7.765 3.209
Ba -1.848 13.786 6.701
Ba 1.848 13.361 2.234
```

=====

Version two
# BaSr2I6

An optimized crystal structure of BaSr2I6 (PBE, the Materials Project).

Output
Its space group is C2/c. Its crystal system is monoclinic.

Cell and atoms, written as extended XYZ:
```
18
Lattice="7.745 4.534 0.000 -7.745 4.534 0.000 0.000 1.201 11.860" Properties=species:S:1:pos:R:3 pbc="T T T"
********
So much for the crystal structures.
As an odd trembling began low in her body, she turned away with a quick, “Good night, Mr. Hale,” then strode swiftly down the hall to her room.
She thought she heard a low chuckle behind her, but when she glanced back, the hallway was empty.
Chapter Eighteen
The next afternoon, Katherine stepped outside dressed for an outing, infernal bonnet and all. The day was perfect for a drive. Warm and breezy with dappled sunlight filtering through the trees that lined their street in Mayfair. It was odd to think an enemy could be lurking nearby, waiting for another chance to make a move.
With a cautious gaze, she looked up and down the street for anyone who might appear out of place.
She saw nothing unusual.
Materials data from another source follow
- - -
Compound: Eu2Co12P7
Source: Materials Project
Functional: PBE
Structure: optimized geometry

Structure (POSCAR):
```
Eu2Co12P7
1.0
3.3741 0.7961 -0.9072
-2.3264 8.7486 -0.9752
2.8899 -3.0789 8.0463
Co Eu P
12 2 7
direct
0.5000 0.1323 0.8959
0.0000 0.2706 0.1520
0.0000 0.3759 0.9437
0.0000 0.8814 0.7294
0.5000 0.9495 0.5678
0.5000 0.6178 0.0502
0.5000 0.1033 0.2348
0.5000 0.4322 0.3822
0.0000 0.8479 0.1186
0.0000 0.0560 0.4318
0.0000 0.5680 0.6241
0.5000 0.7652 0.8686
0.0000 0.6665 0.3336
0.5000 0.3336 0.6666
0.0000 0.1100 0.7076
0.0000 0.9999 0.0005
0.5000 0.3983 0.1070
0.5000 0.8930 0.2912
0.0000 0.5977 0.8899
0.5000 0.7090 0.6019
0.0000 0.2923 0.4024
```

Properties
SG: Pm
E: -7.5411 eV per atom



Compound: LiNd14Cu6O28
Source: Materials Project
Functional: PBE
Structure: optimized geometry

Structure (POSCAR):
```
LiNd14Cu6O28
1.0
3.2186 -2.8420 7.6751
7.7524 3.8254 -1.6157
-1.7270 7.4672 4.5161
Cu Nd O Li
6 14 28 1
direct
0.4294 0.4294 0.7145
0.2864 0.2864 0.1426
0.8572 0.8572 0.4289
0.5706 0.5706 0.2855
0.1428 0.1428 0.5711
0.7136 0.7136 0.8574
0.5072 0.2070 0.4290
0.9353 0.6375 0.1425
0.6375 0.9353 0.1425
0.9226 0.2203 0.2849
0.2070 0.5072 0.4290
0.4928 0.7930 0.5710
0.2203 0.9226 0.2849
0.7797 0.0774 0.7151
0.0647 0.3625 0.8575
0.3505 0.6495 0.0000
0.7930 0.4928 0.5710
0.3625 0.0647 0.8575
0.0774 0.7797 0.7151
0.6495 0.3505 0.0000
0.3928 0.8924 0.0711
0.2492 0.7508 0.5000
0.7118 0.7118 0.3566
0.5733 0.5733 0.7860
0.1496 0.1496 0.0752
0.1076 0.6072 0.9289
0.0745 0.0745 0.7769
0.2882 0.2882 0.6434
0.8924 0.3928 0.0711
0.1789 0.6790 0.2137
0.0356 0.5355 0.6434
0.6072 0.1076 0.9289
0.3210 0.8211 0.7863
0.9255 0.9255 0.2231
0.3574 0.3574 0.9284
0.6426 0.6426 0.0716
0.4267 0.4267 0.2140
0.8504 0.8504 0.9248
0.4645 0.9644 0.3566
0.8211 0.3210 0.7863
0.5000 0.5000 0.5000
0.6790 0.1789 0.2137
0.0000 0.0000 0.5000
0.7863 0.7863 0.6388
0.9644 0.4645 0.3566
0.7508 0.2492 0.5000
0.5355 0.0356 0.6434
0.2137 0.2137 0.3612
0.0000 0.0000 0.0000
```

Properties
SG: C2/m
Total energy after the MP2020 corrections: -7.74 eV/atom



Compound: MgTi4O9
Source: Materials Project
Functional: PBE
Structure: optimized geometry

Structure (POSCAR):
```
MgTi4O9
1.0
8.4504 0.0000 0.0000
0.0000 8.4504 0.0000
0.0000 0.0000 4.9782
Mg O Ti
2 18 8
direct
0.0000 0.5000 0.1028
0.5000 0.0000 0.8972
0.1064 0.2941 0.4614
0.7941 0.3936 0.4614
0.7059 0.1064 0.5386
0.4356 0.7738 0.0496
0.7262 0.9356 0.0496
0.0644 0.7262 0.9504
0.2262 0.4356 0.9504
0.9356 0.2738 0.9504
0.8936 0.7059 0.4614
0.3936 0.2059 0.5386
0.2738 0.0644 0.0496
0.2941 0.8936 0.5386
0.5644 0.2262 0.0496
0.6064 0.7941 0.5386
0.7738 0.5644 0.9504
0.5000 0.5000 0.5000
0.0000 0.0000 0.5000
0.2059 0.6064 0.4614
0.2194 0.0893 0.3738
0.4107 0.7194 0.3738
0.5893 0.2806 0.3738
0.7194 0.5893 0.6262
0.2806 0.4107 0.6262
0.0893 0.7806 0.6262
0.9107 0.2194 0.6262
0.7806 0.9107 0.3738
```

Properties
SG: P4/n
Total energy after the MP2020 corrections: -8.85 eV/atom



Compound: Sm2Ga9Co3
Source: Materials Project
- - -
She did, however, see Hale, dressed in fawn breeches and a black coat, waiting beside the open-top barouche. He wore no hat, but his hair was secured in a neat queue and a neckcloth completed the look. Even if he put forth true effort, Hale wasn’t a man who’d ever look polished or refined. He was too rugged and bold for such descriptors and Katherine rather liked him that way.
Not that she’d ever tell him that.
Keeping her expression as indifferent as possible, she glanced away from the bodyguard to note that Mr. Newton was in the driver’s seat and one of the footmen who’d begun training with Hale had taken position in the back.
No. 1
LiPm2Rh: optimized geometry, r²SCAN.

```
LiPm2Rh
1.0
0.9640 -4.6097 -1.8301
-2.5485 -1.7081 -4.0143
2.3416 -0.5135 -4.4476
Li Pm Rh
1 2 1
Cartesian
0.1893 -1.7078 -2.5730
0.0000 0.0000 0.0000
0.3786 -3.4156 -5.1460
0.5678 -5.1235 -7.7190
```

Values from the calculation:
Mass density   7.280 Mg/m³
Calculated formation energy   -400.4 meV per atom
Space group   No. 225
Total magnetic moment   0.00 μB/f.u.


No. 2
Lu4C7: optimized geometry, r²SCAN.

```
Lu4C7
1.0
-1.4878 2.7849 -1.6947
-4.7716 -3.0775 2.6299
1.3122 7.4673 11.1188
Lu C
8 14
Cartesian
-0.9401 8.0286 10.1216
-1.1080 3.6061 4.9672
-4.0072 -0.8539 1.9324
-3.8392 3.5686 7.0868
-2.1551 6.5063 6.6316
-0.6431 0.8596 2.1011
-2.7921 0.6684 5.4224
-4.3042 6.3150 9.9529
-1.7297 2.1949 6.8743
0.0000 0.0000 0.0000
-0.1287 7.1315 8.0329
-2.3375 2.1236 3.5126
-4.8185 0.0432 4.0211
-2.6097 5.0511 8.5414
-2.8402 1.8070 2.3390
0.1411 6.1227 7.2331
-5.1050 2.0748 5.6665
-1.8437 5.7481 10.9589
0.1578 5.0998 6.3875
-3.1035 1.4266 1.0951
-5.0883 1.0520 4.8209
-2.1070 5.3677 9.7150
```

Values from the calculation:
Mass density   8.946 Mg/m³
Calculated formation energy   -508.0 meV per atom
Space group   No. 14
Total magnetic moment   0.00 μB/f.u.


No. 3
Zr2CoTc: optimized geometry, r²SCAN.

```
Zr2CoTc
1.0
0.0000 3.2451 3.2451
3.2451 0.0000 3.2451
3.2451 3.2451 0.0000
Zr Co Tc
2 1 1
Cartesian
0.0000 0.0000 0.0000
3.2451 3.2451 3.2451
1.6225 1.6225 1.6225
4.8676 4.8676 4.8676
```

Values from the calculation:
Mass density   8.246 Mg/m³
Calculated formation energy   -389.7 meV per atom
Space group   No. 225
Total magnetic moment   0.63 μB/f.u.


No. 4
ErRu3C: optimized geometry, r²SCAN.

```
ErRu3C
1.0
4.1210 0.0000 0.0000
0.0000 4.1210 0.0000
0.0000 0.0000 4.1210
Er Ru C
1 3 1
Cartesian
2.0605 2.0605 2.0605
2.0605 0.0000 0.0000
0.0000 2.0605 0.0000
0.0000 0.0000 2.0605
0.0000 0.0000 0.0000
```

Values from the calculation:
Mass density   11.448 Mg/m³
Calculated formation energy   -293.6 meV per atom
Space group   No. 221
Total magnetic moment   0.00 μB/f.u.


No. 5
Be2Nb: optimized geometry, r²SCAN.

```
Be2Nb
1.0
4.0103 0.0000 2.3154
1.3368 3.7810 2.3154
0.0000 0.0000 4.6307
Be Nb
4 2
Cartesian
2.6735 1.8905 4.6307
2.6735 1.8905 2.3154
0.6684 1.8905 3.4730
2.0052 0.0000 3.4730
4.6787 3.3083 8.1037
0.6684 0.4726 1.1577
```

Values from the calculation:
Mass density   5.247 Mg/m³
Calculated formation energy   -213.7 meV per atom
Space group   No. 227
Total magnetic moment   0.00 μB/f.u.


No. 6
Ho2ZnCu: optimized geometry, r²SCAN.

```
Ho2ZnCu
1.0
-1.4756 -4.6713 0.3846
-0.1938 -2.1602 4.4093
-4.3490 -1.0432 2.0358
Ho Zn Cu
2 1 1
Cartesian
-1.5046 -1.9687 1.7074
-4.5138 -5.9060 5.1223
0.0000 0.0000 0.0000
-3.0092 -3.9374 3.4149
```

Values from the calculation:
Mass density   9.081 Mg/m³
Calculated formation energy   -324.1 meV per atom
Space group   No. 225
Total magnetic moment   0.00 μB/f.u.


No. 1
Material: K2NdCl5
Method: DFT, r2SCAN
State: relaxed

Calculated values
**Here the piece continues**
As she stood poised at the top of her front steps, Hale turned from where he’d been talking in low tones with Newton. When his verdant gaze fell on her, his mouth curved into a smile. But this wasn’t one of his twisted smirks or a brazen grin. It was a simple expression of pleasure and it curled her toes.